The following is a calculated powder XRD pattern of Zn6WO6. It was derived from a PBE+U-relaxed structure, using copper Kα.
Peak positions follow from Bragg's law for the DFT cell and can differ from measured ones.

Crystal structure
```
data_Zn6WO6
_space_group_name_H-M_alt 'P 1'
_space_group_IT_number 1
_space_group_name_Hall 'P 1'
_cell_length_a 5.7413
_cell_length_b 5.7413
_cell_length_c 5.7413
_cell_angle_alpha 90.00
_cell_angle_beta 90.00
_cell_angle_gamma 90.00
loop_
_atom_site_label
_atom_site_type_symbol
_atom_site_fract_x
_atom_site_fract_y
_atom_site_fract_z
_atom_site_occupancy
Zn1 Zn 0.0000 0.2488 0.5000 1
Zn2 Zn 0.0000 0.7512 0.5000 1
Zn3 Zn 0.2488 0.5000 0.0000 1
Zn4 Zn 0.5000 0.0000 0.2488 1
Zn5 Zn 0.5000 0.0000 0.7512 1
Zn6 Zn 0.7512 0.5000 0.0000 1
W1 W 0.0000 0.0000 0.0000 1
O1 O 0.0000 0.5000 0.2530 1
O2 O 0.0000 0.5000 0.7470 1
O3 O 0.2530 0.0000 0.5000 1
O4 O 0.5000 0.2530 0.0000 1
O5 O 0.5000 0.7470 0.0000 1
O6 O 0.7470 0.0000 0.5000 1
```

Principal peaks in the range 5 to 70 degrees two-theta, in order of falling intensity:
2θ 38.40, d = 2.344 Å, intensity 100, hkl 2 1 1
2θ 34.95, d = 2.568 Å, intensity 83, hkl 2 1 0
2θ 15.43, d = 5.741 Å, intensity 60, hkl 1 0 0
2θ 60.32, d = 1.534 Å, intensity 51, hkl 3 1 2
2θ 31.16, d = 2.871 Å, intensity 44, hkl 2 0 0
2θ 26.90, d = 3.315 Å, intensity 22, hkl 1 1 1
2θ 57.91, d = 1.592 Å, intensity 20, hkl 3 0 2
2θ 64.97, d = 1.435 Å, intensity 19, hkl 4 0 0
2θ 47.51, d = 1.914 Å, intensity 18, hkl 2 2 1
2θ 52.89, d = 1.731 Å, intensity 10, hkl 3 1 1
2θ 67.23, d = 1.392 Å, intensity 10, hkl 4 1 0
2θ 55.44, d = 1.657 Å, intensity 9, hkl 2 2 2

----------

The following is a theoretical powder X-ray diffraction pattern of AcDy2Ho2. It was derived from a crystal structure in Alexandria, relaxed with GGA-PBE, using Cu Kα.
Kinematic intensities with the Lorentz-polarization factor, no thermal factor.

Largest 10 diffraction maxima, low angle first, 2θ = 15–90°:
| Position (°2θ) | I/Imax |
| --- | --- |
| 25.64 | 37 |
| 26.23 | 18 |
| 29.67 | 39 |
| 30.36 | 100 |
| 31.62 | 44 |
| 31.78 | 27 |
| 32.75 | 20 |
| 33.08 | 23 |
| 34.57 | 25 |
| 40.55 | 25 |

Structure:
a b c (Å): 8.6396 8.6396 11.4359
angles (deg): 90.00 90.00 155.80
Fractional coordinates of all 10 atoms:
Ac: 0.0987 0.9013 0.5000
Ac: 0.9013 0.0987 0.0000
Dy: 0.2070 0.7930 0.0523
Dy: 0.4118 0.5882 0.3710
Dy: 0.5882 0.4118 0.8710
Dy: 0.7930 0.2070 0.5523
Ho: 0.2580 0.7420 0.7891
Ho: 0.4410 0.5590 0.6788
Ho: 0.5590 0.4410 0.1788
Ho: 0.7420 0.2580 0.2891

---

The following is a theoretical powder X-ray diffraction pattern of AcDy5Ho6. It was derived from a crystal structure in Alexandria, relaxed with GGA-PBE, using Cu Kα.
Kinematic intensities with the Lorentz-polarization factor, no thermal factor.

Largest 10 diffraction maxima, low angle first, 2θ = 15–90°:
| Position (°2θ) | I/Imax |
| --- | --- |
| 30.71 | 100 |
| 35.61 | 51 |
| 51.24 | 36 |
| 60.91 | 32 |
| 60.99 | 11 |
| 63.92 | 9 |
| 75.39 | 6 |
| 83.51 | 9 |
| 83.63 | 9 |
| 86.25 | 8 |

Structure:
a b c (Å): 6.1790 6.1790 11.8119
angles (deg): 95.00 95.00 119.96
Fractional coordinates of all 12 atoms:
Ac: 0.0000 0.0000 0.0000
Dy: 0.1670 0.8330 0.5000
Dy: 0.3334 0.6666 0.0000
Dy: 0.5000 0.5000 0.5000
Dy: 0.6666 0.3334 0.0000
Dy: 0.8330 0.1670 0.5000
Ho: 0.0851 0.4213 0.2544
Ho: 0.2514 0.2514 0.7454
Ho: 0.4213 0.0851 0.2544
Ho: 0.5787 0.9149 0.7456
Ho: 0.7486 0.7486 0.2546
Ho: 0.9149 0.5787 0.7456

---

Repeat the second record exactly.
The following is a theoretical powder X-ray diffraction pattern of AcDy5Ho6. It was derived from a crystal structure in Alexandria, relaxed with GGA-PBE, using Cu Kα.
Kinematic intensities with the Lorentz-polarization factor, no thermal factor.

Largest 10 diffraction maxima, low angle first, 2θ = 15–90°:
| Position (°2θ) | I/Imax |
| --- | --- |
| 30.71 | 100 |
| 35.61 | 51 |
| 51.24 | 36 |
| 60.91 | 32 |
| 60.99 | 11 |
| 63.92 | 9 |
| 75.39 | 6 |
| 83.51 | 9 |
| 83.63 | 9 |
| 86.25 | 8 |

Structure:
It remains to quote the whole of the data further above verbatim.
The following is a calculated powder XRD pattern of Zn6WO6. It was derived from a PBE+U-relaxed structure, using copper Kα.
Peak positions follow from Bragg's law for the DFT cell and can differ from measured ones.

Crystal structure
```
data_Zn6WO6
_space_group_name_H-M_alt 'P 1'
_space_group_IT_number 1
_space_group_name_Hall 'P 1'
_cell_length_a 5.7413
_cell_length_b 5.7413
_cell_length_c 5.7413
_cell_angle_alpha 90.00
_cell_angle_beta 90.00
_cell_angle_gamma 90.00
loop_
_atom_site_label
_atom_site_type_symbol
_atom_site_fract_x
_atom_site_fract_y
_atom_site_fract_z
_atom_site_occupancy
Zn1 Zn 0.0000 0.2488 0.5000 1
Zn2 Zn 0.0000 0.7512 0.5000 1
Zn3 Zn 0.2488 0.5000 0.0000 1
Zn4 Zn 0.5000 0.0000 0.2488 1
Zn5 Zn 0.5000 0.0000 0.7512 1
Zn6 Zn 0.7512 0.5000 0.0000 1
W1 W 0.0000 0.0000 0.0000 1
O1 O 0.0000 0.5000 0.2530 1
O2 O 0.0000 0.5000 0.7470 1
O3 O 0.2530 0.0000 0.5000 1
O4 O 0.5000 0.2530 0.0000 1
O5 O 0.5000 0.7470 0.0000 1
O6 O 0.7470 0.0000 0.5000 1
```

Principal peaks in the range 5 to 70 degrees two-theta, in order of falling intensity:
2θ 38.40, d = 2.344 Å, intensity 100, hkl 2 1 1
2θ 34.95, d = 2.568 Å, intensity 83, hkl 2 1 0
2θ 15.43, d = 5.741 Å, intensity 60, hkl 1 0 0
2θ 60.32, d = 1.534 Å, intensity 51, hkl 3 1 2
2θ 31.16, d = 2.871 Å, intensity 44, hkl 2 0 0
2θ 26.90, d = 3.315 Å, intensity 22, hkl 1 1 1
2θ 57.91, d = 1.592 Å, intensity 20, hkl 3 0 2
2θ 64.97, d = 1.435 Å, intensity 19, hkl 4 0 0
2θ 47.51, d = 1.914 Å, intensity 18, hkl 2 2 1
2θ 52.89, d = 1.731 Å, intensity 10, hkl 3 1 1
2θ 67.23, d = 1.392 Å, intensity 10, hkl 4 1 0
2θ 55.44, d = 1.657 Å, intensity 9, hkl 2 2 2

----------

The following is a theoretical powder X-ray diffraction pattern of AcDy2Ho2. It was derived from a crystal structure in Alexandria, relaxed with GGA-PBE, using Cu Kα.
Kinematic intensities with the Lorentz-polarization factor, no thermal factor.

Largest 10 diffraction maxima, low angle first, 2θ = 15–90°:
| Position (°2θ) | I/Imax |
| --- | --- |
| 25.64 | 37 |
| 26.23 | 18 |
| 29.67 | 39 |
| 30.36 | 100 |
| 31.62 | 44 |
| 31.78 | 27 |
| 32.75 | 20 |
| 33.08 | 23 |
| 34.57 | 25 |
| 40.55 | 25 |

Structure:
a b c (Å): 8.6396 8.6396 11.4359
angles (deg): 90.00 90.00 155.80
Fractional coordinates of all 10 atoms:
Ac: 0.0987 0.9013 0.5000
Ac: 0.9013 0.0987 0.0000
Dy: 0.2070 0.7930 0.0523
Dy: 0.4118 0.5882 0.3710
Dy: 0.5882 0.4118 0.8710
Dy: 0.7930 0.2070 0.5523
Ho: 0.2580 0.7420 0.7891
Ho: 0.4410 0.5590 0.6788
Ho: 0.5590 0.4410 0.1788
Ho: 0.7420 0.2580 0.2891

---

The following is a theoretical powder X-ray diffraction pattern of AcDy5Ho6. It was derived from a crystal structure in Alexandria, relaxed with GGA-PBE, using Cu Kα.
Kinematic intensities with the Lorentz-polarization factor, no thermal factor.

Largest 10 diffraction maxima, low angle first, 2θ = 15–90°:
| Position (°2θ) | I/Imax |
| --- | --- |
| 30.71 | 100 |
| 35.61 | 51 |
| 51.24 | 36 |
| 60.91 | 32 |
| 60.99 | 11 |
| 63.92 | 9 |
| 75.39 | 6 |
| 83.51 | 9 |
| 83.63 | 9 |
| 86.25 | 8 |

Structure:
a b c (Å): 6.1790 6.1790 11.8119
angles (deg): 95.00 95.00 119.96
Fractional coordinates of all 12 atoms:
Ac: 0.0000 0.0000 0.0000
Dy: 0.1670 0.8330 0.5000
Dy: 0.3334 0.6666 0.0000
Dy: 0.5000 0.5000 0.5000
Dy: 0.6666 0.3334 0.0000
Dy: 0.8330 0.1670 0.5000
Ho: 0.0851 0.4213 0.2544
Ho: 0.2514 0.2514 0.7454
Ho: 0.4213 0.0851 0.2544
Ho: 0.5787 0.9149 0.7456
Ho: 0.7486 0.7486 0.2546
Ho: 0.9149 0.5787 0.7456

---

Repeat the second record exactly.
The following is a theoretical powder X-ray diffraction pattern of AcDy5Ho6. It was derived from a crystal structure in Alexandria, relaxed with GGA-PBE, using Cu Kα.
Kinematic intensities with the Lorentz-polarization factor, no thermal factor.

Largest 10 diffraction maxima, low angle first, 2θ = 15–90°:
| Position (°2θ) | I/Imax |
| --- | --- |
| 30.71 | 100 |
| 35.61 | 51 |
| 51.24 | 36 |
| 60.91 | 32 |
| 60.99 | 11 |
| 63.92 | 9 |
| 75.39 | 6 |
| 83.51 | 9 |
| 83.63 | 9 |
| 86.25 | 8 |

Structure: